It remains to set down all of the lines below without additions.

┌──
Entry 1:
The following is a quantum chemistry calculation of the molecule C9H6O2 at a distorted geometry, from the Open Molecules 2025 dataset.

Atoms and positions in Å:
O 4.3011 0.3410 -0.0794
C 3.3398 -0.4282 -0.0449
C 1.9770 -0.0466 0.1489
C 1.2633 1.1333 0.1142
C -0.0948 0.6930 -0.0290
C -1.3859 1.3828 0.0303
C -2.5839 0.6899 -0.0854
C -2.4653 -0.7384 -0.0322
C -1.2565 -1.4485 -0.0310
C -0.0428 -0.6966 -0.0550
O 1.2294 -1.1259 0.1337
H 3.5466 -1.4779 -0.2268
H 1.5610 2.1404 -0.0805
H -1.1996 2.4537 -0.0376
H -3.5942 1.0265 0.1591
H -3.2804 -1.3552 0.1644
H -1.3147 -2.5434 -0.0487

Results
LUMO energy, eV: -0.381
ΔE to the lowest compared entry with this formula, charge and spin, kJ/mol: 125.6
Structure (SMILES): O=Cc1cc2ccccc2o1
2S+1: 1
Highest occupied orbital energy, eV: -8.81
Maximum force, eV Å⁻¹: 3.87
DFT total energy, a.u.: -496.98298


Entry 2:
The following is a quantum chemistry calculation of C9H12N2O4STb as an isolated structure at a distorted geometry, from the Open Molecules 2025 dataset.

Atoms and positions in Å:
Tb 0.0496 0.1893 -0.9150
C 0.0801 1.8872 0.6033
O 0.0128 2.8625 1.2239
C 0.0609 2.3134 -2.1183
O -0.0357 3.3826 -2.5490
C -2.1163 1.3630 -0.9597
O -3.0982 1.9343 -1.0389
C 2.2733 1.2175 -0.9318
O 3.3174 1.7497 -1.0439
C 0.0553 -1.6185 -4.3791
H 0.9976 -2.1388 -4.2066
H -0.8820 -2.1445 -4.1974
C 0.0484 -0.3570 -4.7899
H -0.8938 0.1737 -4.9831
H 0.9862 0.1863 -4.9707
C -1.4748 0.1003 2.8476
N -1.2107 -1.2602 2.2722
C -0.1138 -1.4917 1.5084
S -0.1700 -2.3908 0.0366
N 1.0741 -0.9370 1.9162
C 1.4063 -0.8618 3.3443
H -0.5261 0.6103 3.1078
H -2.0647 -0.0791 3.7550
H -2.0609 0.7207 2.1457
H -2.0661 -1.6974 1.8584
H 1.8795 -1.1727 1.3241
H 2.2239 -1.5337 3.5806
H 1.7030 0.1433 3.6307
H 0.5447 -1.1510 3.9285

Results
LUMO energy (spin up / spin down), eV: -13.211 / -15.643
ΔE to the lowest compared entry with this formula, charge and spin, kJ/mol: 178.2
2S+1: 7
Charge: +3
Highest occupied orbital energy (spin up / spin down), eV: -19.84 / -19.61
Maximum force, eV Å⁻¹: 8.48
DFT total energy, a.u.: -1981.97970


Entry 3:
The following is a quantum chemistry calculation of C20H41As3IMnNO4Se3 as an isolated structure, from the Open Molecules 2025 dataset.

Atoms and positions in Å:
Mn 0.3589 -0.5232 0.2246
C 1.5174 2.8181 -1.2125
As 1.1103 0.9713 -1.6572
C 2.6756 0.5377 -2.7324
C -0.1310 1.1447 -3.1731
C -1.6343 1.4004 -2.9430
C -2.2050 1.8436 -4.2984
C -2.3512 0.0932 -2.5589
As -1.8093 -0.8301 -0.9133
C -2.4383 -2.6169 -1.3841
C -3.1911 -0.3704 0.3650
C -1.8245 2.4984 -1.8824
As -3.4618 3.6139 -1.9230
C -3.0620 4.4902 -0.2158
C -4.8332 2.3956 -1.2219
H 0.8746 3.1428 -0.3964
H 1.3921 3.4592 -2.0844
H 2.5564 2.8644 -0.8868
H 2.8098 1.2769 -3.5223
H 2.5543 -0.4458 -3.1877
H 3.5588 0.5191 -2.0950
H -0.0058 0.2292 -3.7610
H 0.2765 1.9612 -3.7768
H -1.9540 1.1175 -5.0758
H -1.8002 2.8145 -4.5914
H -3.2925 1.9370 -4.2619
H -2.1926 -0.6383 -3.3568
H -3.4291 0.2575 -2.4938
H -3.4453 -2.5643 -1.7974
H -2.4561 -3.2360 -0.4868
H -1.7731 -3.0764 -2.1143
H -4.1801 -0.4935 -0.0743
H -3.0305 0.6439 0.7163
H -3.0826 -1.0323 1.2229
H -1.0545 3.2608 -2.0368
H -1.6625 2.1049 -0.8746
H -2.2188 5.1687 -0.3408
H -2.8168 3.7558 0.5524
H -3.9265 5.0724 0.1013
H -5.1054 1.6442 -1.9633
H -5.7210 2.9925 -1.0119
H -4.5118 1.9071 -0.3046
C 4.3421 -4.0354 3.2632
Se 2.9448 -2.7670 2.7856
C 3.9112 -1.1689 3.3275
C 5.0266 -0.7483 2.3856
Se 4.4267 0.1349 0.7538
C 3.9258 1.7949 1.6277
H 4.5710 -3.9674 4.3247
H 5.2434 -3.8694 2.6765
H 3.9643 -5.0333 3.0463
H 4.3136 -1.3694 4.3220
H 3.1473 -0.3997 3.4170
H 5.6309 -1.6003 2.0748
H 5.6928 -0.0437 2.8870
H 4.7975 2.2333 2.1093
H 3.1205 1.6247 2.3338
H 3.5530 2.4782 0.8682
O -0.9413 0.5062 3.4728
Se 0.1176 1.1052 2.4090
O -0.6117 1.1473 0.8835
O 1.2527 -0.0853 1.9997
O 0.7964 2.5059 2.7937
I 1.5372 -2.8510 -0.9213
C 0.2947 -3.3671 0.6705
C 0.1020 -4.6533 1.1311
C -0.6630 -4.7966 2.2797
C -1.1661 -3.6691 2.9105
C -0.9230 -2.4161 2.3724
N -0.2149 -2.2755 1.2412
H 0.5450 -5.4980 0.6237
└──

Entry 1:
The following is a quantum chemistry calculation of the molecule C9H6O2 at a distorted geometry, from the Open Molecules 2025 dataset.

Atoms and positions in Å:
O 4.3011 0.3410 -0.0794
C 3.3398 -0.4282 -0.0449
C 1.9770 -0.0466 0.1489
C 1.2633 1.1333 0.1142
C -0.0948 0.6930 -0.0290
C -1.3859 1.3828 0.0303
C -2.5839 0.6899 -0.0854
C -2.4653 -0.7384 -0.0322
C -1.2565 -1.4485 -0.0310
C -0.0428 -0.6966 -0.0550
O 1.2294 -1.1259 0.1337
H 3.5466 -1.4779 -0.2268
H 1.5610 2.1404 -0.0805
H -1.1996 2.4537 -0.0376
H -3.5942 1.0265 0.1591
H -3.2804 -1.3552 0.1644
H -1.3147 -2.5434 -0.0487

Results
LUMO energy, eV: -0.381
ΔE to the lowest compared entry with this formula, charge and spin, kJ/mol: 125.6
Structure (SMILES): O=Cc1cc2ccccc2o1
2S+1: 1
Highest occupied orbital energy, eV: -8.81
Maximum force, eV Å⁻¹: 3.87
DFT total energy, a.u.: -496.98298


Entry 2:
The following is a quantum chemistry calculation of C9H12N2O4STb as an isolated structure at a distorted geometry, from the Open Molecules 2025 dataset.

Atoms and positions in Å:
Tb 0.0496 0.1893 -0.9150
C 0.0801 1.8872 0.6033
O 0.0128 2.8625 1.2239
C 0.0609 2.3134 -2.1183
O -0.0357 3.3826 -2.5490
C -2.1163 1.3630 -0.9597
O -3.0982 1.9343 -1.0389
C 2.2733 1.2175 -0.9318
O 3.3174 1.7497 -1.0439
C 0.0553 -1.6185 -4.3791
H 0.9976 -2.1388 -4.2066
H -0.8820 -2.1445 -4.1974
C 0.0484 -0.3570 -4.7899
H -0.8938 0.1737 -4.9831
H 0.9862 0.1863 -4.9707
C -1.4748 0.1003 2.8476
N -1.2107 -1.2602 2.2722
C -0.1138 -1.4917 1.5084
S -0.1700 -2.3908 0.0366
N 1.0741 -0.9370 1.9162
C 1.4063 -0.8618 3.3443
H -0.5261 0.6103 3.1078
H -2.0647 -0.0791 3.7550
H -2.0609 0.7207 2.1457
H -2.0661 -1.6974 1.8584
H 1.8795 -1.1727 1.3241
H 2.2239 -1.5337 3.5806
H 1.7030 0.1433 3.6307
H 0.5447 -1.1510 3.9285

Results
LUMO energy (spin up / spin down), eV: -13.211 / -15.643
ΔE to the lowest compared entry with this formula, charge and spin, kJ/mol: 178.2
2S+1: 7
Charge: +3
Highest occupied orbital energy (spin up / spin down), eV: -19.84 / -19.61
Maximum force, eV Å⁻¹: 8.48
DFT total energy, a.u.: -1981.97970


Entry 3:
The following is a quantum chemistry calculation of C20H41As3IMnNO4Se3 as an isolated structure, from the Open Molecules 2025 dataset.

Atoms and positions in Å:
Mn 0.3589 -0.5232 0.2246
C 1.5174 2.8181 -1.2125
As 1.1103 0.9713 -1.6572
C 2.6756 0.5377 -2.7324
C -0.1310 1.1447 -3.1731
C -1.6343 1.4004 -2.9430
C -2.2050 1.8436 -4.2984
C -2.3512 0.0932 -2.5589
As -1.8093 -0.8301 -0.9133
C -2.4383 -2.6169 -1.3841
C -3.1911 -0.3704 0.3650
C -1.8245 2.4984 -1.8824
As -3.4618 3.6139 -1.9230
C -3.0620 4.4902 -0.2158
C -4.8332 2.3956 -1.2219
H 0.8746 3.1428 -0.3964
H 1.3921 3.4592 -2.0844
H 2.5564 2.8644 -0.8868
H 2.8098 1.2769 -3.5223
H 2.5543 -0.4458 -3.1877
H 3.5588 0.5191 -2.0950
H -0.0058 0.2292 -3.7610
H 0.2765 1.9612 -3.7768
H -1.9540 1.1175 -5.0758
H -1.8002 2.8145 -4.5914
H -3.2925 1.9370 -4.2619
H -2.1926 -0.6383 -3.3568
H -3.4291 0.2575 -2.4938
H -3.4453 -2.5643 -1.7974
H -2.4561 -3.2360 -0.4868
H -1.7731 -3.0764 -2.1143
H -4.1801 -0.4935 -0.0743
H -3.0305 0.6439 0.7163
H -3.0826 -1.0323 1.2229
H -1.0545 3.2608 -2.0368
H -1.6625 2.1049 -0.8746
H -2.2188 5.1687 -0.3408
H -2.8168 3.7558 0.5524
H -3.9265 5.0724 0.1013
H -5.1054 1.6442 -1.9633
H -5.7210 2.9925 -1.0119
H -4.5118 1.9071 -0.3046
C 4.3421 -4.0354 3.2632
Se 2.9448 -2.7670 2.7856
C 3.9112 -1.1689 3.3275
C 5.0266 -0.7483 2.3856
Se 4.4267 0.1349 0.7538
C 3.9258 1.7949 1.6277
H 4.5710 -3.9674 4.3247
H 5.2434 -3.8694 2.6765
H 3.9643 -5.0333 3.0463
H 4.3136 -1.3694 4.3220
H 3.1473 -0.3997 3.4170
H 5.6309 -1.6003 2.0748
H 5.6928 -0.0437 2.8870
H 4.7975 2.2333 2.1093
H 3.1205 1.6247 2.3338
H 3.5530 2.4782 0.8682
O -0.9413 0.5062 3.4728
Se 0.1176 1.1052 2.4090
O -0.6117 1.1473 0.8835
O 1.2527 -0.0853 1.9997
O 0.7964 2.5059 2.7937
I 1.5372 -2.8510 -0.9213
C 0.2947 -3.3671 0.6705
C 0.1020 -4.6533 1.1311
C -0.6630 -4.7966 2.2797
C -1.1661 -3.6691 2.9105
C -0.9230 -2.4161 2.3724
N -0.2149 -2.2755 1.2412
H 0.5450 -5.4980 0.6237